Spectrum - Volume 18 Issue 28 April 18, 1996 - UNIVERSITY PUBLIC SERVICE EXCELLENCE AWARD Clifford Randall

A non-profit publication of the Office of the University Relations of Virginia Tech,
including The Conductor , a special section of the Spectrum printed 4 times a year


By Lynn Nystrom

Spectrum Volume 18 Issue 28 - April 18, 1996

For more than a quarter of a century, Clifford Randall has been making a difference as one of the world's renowned environmentalists. His pioneering work in the enhancement of water quality in the northern Virginia and eastern shore areas is viewed as a model for the rest of the U.S. At Virginia Tech, his impressive record of achievement has culminated this year in his receipt of the university's Public Service Excellence Award.

Randall's power rests in his knowledge and his ability to work with a wide array of people. As Randall views his work, the challenge is not just in the scientific arena. "I have learned that I have to work with scientists, engineers, civil-service people, and politicians if I want to make any progress."

The civil engineer is a familiar face to the members of the northern Virginia boards of supervisors, as well as the political figures in Richmond. He chairs the scientific and technical advisory committee of the Chesapeake Bay Program, presides over the Association of Environmental Engineering Professors, and serves as the USA representative to the Scientific and Technical Committee of the International Association on Water Quality. He also chairs the Nutrient Removal Specialty Group of the International Association on Water Quality, and is vice-chairman of the Occoquan Watershed Monitoring Subcommittee of the Virginia Department of Environmental Quality and the Wastewater Management Committee of the Environmental Engineering Division of the American Society of Civil Engineers.

"Public service is an obligation of state university personnel," said Randall, the Charles P. Lunsford professor of civil engineering. "It gives us the opportunity to become involved in real-world problems and to work with people and politicians towards resolving problems of the environment. And we are able to integrate this work with teaching and research."

The integration of teaching and research is demonstrated in Randall's work in restoring the health of the Chesapeake Bay, where water-quality degradation has had an impact on the area's economy as well as its ecology. "There has been a large number of lost jobs in the fishery industry. The restoration of the bay will restore jobs, and this fact is often missed," Randall says. "We had to work with the politicians to convince them that there are economic solutions to environmental problems that do make sense. We also have the challenge of working with changing perspectives on which wastewater treatment processes are best for preventing problems."

Randall has spent the past 12 years developing and introducing innovative nutrient removal wastewater treatment systems to the East Coast and to the environmental-engineering profession. These efforts have resulted in the development of a patented process now in use in Norfolk at one of the largest wastewater treatment plants in Virginia, and in modifications to more than 25 plants in Maryland, Virginia, Delaware, and North Carolina. For his efforts in Maryland, Randall received a Salute to Excellence from the governor in 1995.

**Misplaced crystal structures:**
- - -
Record 1
# PBE NaAcPa4N8, optimized geometry
data_NaAcPa4N8
_cell_length_a 7.1330
_cell_length_b 7.1330
_cell_length_c 16.6141
_cell_angle_alpha 90.00
_cell_angle_beta 90.00
_cell_angle_gamma 120.00
_space_group_name_H-M_alt 'R 3 m'
_space_group_IT_number 160
_space_group_name_Hall 'R 3 -2"'
loop_
_atom_site_label
_atom_site_type_symbol
_atom_site_fract_x
_atom_site_fract_y
_atom_site_fract_z
Na1 Na 0.0000 0.0000 0.0000
Ac1 Ac 0.0000 0.0000 0.3807
Pa1 Pa 0.0000 0.0000 0.6096
Pa2 Pa 0.1689 0.3379 0.8315
N1 N 0.0000 0.0000 0.2303
N2 N 0.0000 0.0000 0.7543
N3 N 0.0369 0.5184 0.7704
N4 N 0.1690 0.3380 0.5716
# Formation energy without anion corrections, eV per atom: -1.3674
# M_tot, μB/f.u.: 0.0

Record 2
# PBE NaAcPu4N8, optimized geometry
data_NaAcPu4N8
_cell_length_a 6.9270
_cell_length_b 6.9270
_cell_length_c 16.4234
_cell_angle_alpha 90.00
_cell_angle_beta 90.00
_cell_angle_gamma 120.00
_space_group_name_H-M_alt 'R 3 m'
_space_group_IT_number 160
_space_group_name_Hall 'R 3 -2"'
loop_
_atom_site_label
_atom_site_type_symbol
_atom_site_fract_x
_atom_site_fract_y
_atom_site_fract_z
Na1 Na 0.0000 0.0000 0.0000
Ac1 Ac 0.0000 0.0000 0.3881
Pu1 Pu 0.0000 0.0000 0.6190
Pu2 Pu 0.1681 0.3363 0.8357
N1 N 0.0000 0.0000 0.2339
N2 N 0.0000 0.0000 0.7632
N3 N 0.0514 0.5257 0.7722
N4 N 0.1748 0.3496 0.5669
# DOS at the Fermi energy, states/eV per cell: 75.8
# Formation energy without anion corrections, eV per atom: -0.8632
# M_tot, μB/f.u.: 12.0

Record 3
# PBE NaAcPuN3, optimized geometry
data_NaAcPuN3
_cell_length_a 5.622
_cell_length_b 12.737
_cell_length_c 5.771
_cell_angle_alpha 90.00
_cell_angle_beta 100.45
_cell_angle_gamma 90.00
_space_group_name_H-M_alt 'C 1 2/c 1'
_space_group_IT_number 15
loop_
_space_group_symop_operation_xyz
'x,y,z'
'-x,-y,-z'
'-x,y,-z+1/2'
'x,-y,z+1/2'
'x+1/2,y+1/2,z'
'-x+1/2,-y+1/2,-z'
'-x+1/2,y+1/2,-z+1/2'
'x+1/2,-y+1/2,z+1/2'
loop_
_atom_site_label
_atom_site_type_symbol
_atom_site_fract_x
_atom_site_fract_y
_atom_site_fract_z
Na1 Na 0.000 0.066 0.250
Ac1 Ac 0.000 0.256 0.750
Pu1 Pu 0.000 0.433 0.250
N1 N 0.000 0.260 0.250
N2 N 0.203 0.434 0.004
# DOS at the Fermi energy, states/eV per cell: 21.1
# Formation energy without anion corrections, eV per atom: -0.7673
# M_tot, μB/f.u.: 3.0

Record 4
# PBE NaAc2ReN4, optimized geometry
data_NaAc2ReN4
_cell_length_a 5.720
_cell_length_b 5.720
_cell_length_c 10.131
_cell_angle_alpha 90.00
_cell_angle_beta 90.00
_cell_angle_gamma 90.00
_space_group_name_H-M_alt 'I -4 2 m'
_space_group_IT_number 121
_space_group_name_Hall 'I -4 2'
loop_
_atom_site_label
_atom_site_type_symbol
_atom_site_fract_x
_atom_site_fract_y
_atom_site_fract_z
Na1 Na 0.000 0.000 0.000
Ac1 Ac 0.000 0.500 0.250
Re1 Re 0.000 0.000 0.500
N1 N 0.190 0.190 0.395
# DOS at the Fermi energy, states/eV per cell: 7.7
# Formation energy without anion corrections, eV per atom: -0.5915
# M_tot, μB/f.u.: 0.0

Record 5
# PBE NaAcRe2N5, optimized geometry
data_NaAcRe2N5
_cell_length_a 3.944
_cell_length_b 3.944
_cell_length_c 7.446
- - -

Randall and his students are working to upgrade 34 plants in Pennsylvania, Maryland, and Virginia through a U.S. Environmental Protection Agency contract.